Activity >
Now give back only the last part of the lines underneath, starting with the line that has "energy: -101.04".
Listing >
........
This record from Alexandria via LeMat-Bulk describes a geometry-optimized RuSe structure. The functional is PBE.

DFT total energy: -101.04 eV for the cell shown

Unit cell a=5.7245 b=7.3799 c=7.6699 alpha=90.00 beta=90.00 gamma=90.00
Closest atoms and distances in Å follow each position.
Sites, in units of the cell vectors:
Ru (0.0162, 0.1840, 0.3748)  4 Se 2.39-2.49
Ru (0.1810, 0.5168, 0.8260)  4 Se 2.38-2.49
Ru (0.3190, 0.4832, 0.3260)  4 Se 2.38-2.49
Ru (0.4838, 0.8160, 0.8748)  4 Se 2.39-2.49
Ru (0.5162, 0.3160, 0.6252)  4 Se 2.39-2.49
Ru (0.6810, 0.9832, 0.1740)  4 Se 2.38-2.49
Ru (0.8190, 0.0168, 0.6740)  4 Se 2.38-2.49
Ru (0.9838, 0.6840, 0.1252)  4 Se 2.39-2.49
Se (0.0594, 0.8306, 0.8535)  4 Ru 2.38-2.44
Se (0.0653, 0.3625, 0.1020)  4 Ru 2.42-2.49
Se (0.4347, 0.6375, 0.6020)  4 Ru 2.42-2.49
Se (0.4406, 0.1694, 0.3535)  4 Ru 2.38-2.44
Se (0.5594, 0.6694, 0.1465)  4 Ru 2.38-2.44
Se (0.5653, 0.1375, 0.8980)  4 Ru 2.42-2.49
Se (0.9347, 0.8625, 0.3980)  4 Ru 2.42-2.49
Se (0.9406, 0.3306, 0.6465)  4 Ru 2.38-2.44

This record from Alexandria via LeMat-Bulk describes a geometry-optimized CaTb2Nd9 structure. The functional is PBE.

DFT total energy: -53.79 eV for the cell shown
Energy relative to the elements: 0.032 eV/atom

Unit cell a=5.1930 b=5.1930 c=15.5904 alpha=90.00 beta=90.00 gamma=90.00
Closest atoms and distances in Å follow each position.
Sites, in units of the cell vectors:
Ca (0.0000, 0.0000, 0.0000)  12 Nd 3.67-3.74
Tb (0.0000, 0.0000, 0.3341)  12 Nd 3.62-3.67
Tb (0.0000, 0.0000, 0.6659)  12 Nd 3.62-3.67
Nd (0.0000, 0.5000, 0.1724)  2 Tb 3.62, 8 Nd 3.62-3.74, 2 Ca 3.74
Nd (0.0000, 0.5000, 0.5000)  8 Nd 3.66-3.67, 4 Tb 3.67
Nd (0.0000, 0.5000, 0.8276)  2 Tb 3.62, 8 Nd 3.62-3.74, 2 Ca 3.74
Nd (0.5000, 0.0000, 0.1724)  2 Tb 3.62, 8 Nd 3.62-3.74, 2 Ca 3.74
Nd (0.5000, 0.0000, 0.5000)  8 Nd 3.66-3.67, 4 Tb 3.67
Nd (0.5000, 0.0000, 0.8276)  2 Tb 3.62, 8 Nd 3.62-3.74, 2 Ca 3.74
Nd (0.5000, 0.5000, 0.0000)  4 Ca 3.67, 8 Nd 3.74
Nd (0.5000, 0.5000, 0.3346)  8 Nd 3.62-3.66, 4 Tb 3.67
Nd (0.5000, 0.5000, 0.6654)  8 Nd 3.62-3.66, 4 Tb 3.67

This record from Alexandria via LeMat-Bulk describes a geometry-optimized PmBiSb structure. The functional is PBE.

Energy relative to the lowest polymorph listed for this composition: 235.1 meV per atom
DFT total energy: -13.95 eV for the cell shown

Unit cell a=5.5566 b=5.5566 c=3.3464 alpha=90.00 beta=90.00 gamma=120.00
Closest atoms and distances in Å follow each position.
Sites, in units of the cell vectors:
Pm (0.0000, 0.0000, 0.0000)  2 Pm 3.35, 6 Sb 3.61-3.62, 6 Bi 3.62
Bi (0.3333, 0.6667, 0.5007)  3 Sb 3.21, 2 Bi 3.35
Sb (0.6667, 0.3333, 0.5036)  3 Bi 3.21, 2 Sb 3.35

This record from Alexandria via LeMat-Bulk describes a geometry-optimized Y7Er2Sc2 structure. The functional is PBE.

Energy relative to the lowest polymorph listed for this composition: 0.0 meV per atom
DFT total energy: -65.62 eV for the cell shown
Energy relative to the elements: 0.129 eV/atom

Unit cell a=9.7819 b=9.7819 c=11.6711 alpha=119.87 beta=119.87 gamma=20.99
Closest atoms and distances in Å follow each position.
Sites, in units of the cell vectors:
Y (0.0000, 0.0000, 0.0000)  4 Sc 3.54, 6 Y 3.56-3.93, 4 Er 3.69
Y (0.1628, 0.1628, 0.9030)  3 Sc 3.27-3.32, 2 Er 3.34, 6 Y 3.44-3.58
Y (0.1713, 0.1713, 0.3753)  2 Sc 3.25, 2 Er 3.33, 5 Y 3.45-3.56
Y (0.3547, 0.3547, 0.3762)  2 Sc 3.47, 2 Er 3.52-3.58, 7 Y 3.52-3.65
Y (0.6453, 0.6453, 0.6238)  2 Sc 3.47, 2 Er 3.52-3.58, 7 Y 3.52-3.65
Y (0.8287, 0.8287, 0.6247)  2 Sc 3.25, 2 Er 3.33, 5 Y 3.45-3.56
Y (0.8372, 0.8372, 0.0970)  3 Sc 3.27-3.32, 2 Er 3.34, 6 Y 3.44-3.58
Er (0.4951, 0.4951, 0.7191)  8 Y 3.33-3.69, 2 Er 3.56
Er (0.5049, 0.5049, 0.2809)  8 Y 3.33-3.69, 2 Er 3.56
Sc (0.3155, 0.3155, 0.8460)  9 Y 3.25-3.54, 2 Sc 3.56
Sc (0.6845, 0.6845, 0.1540)  9 Y 3.25-3.54, 2 Sc 3.56

This record from Alexandria via LeMat-Bulk describes a geometry-optimized Mn4AgW structure. The functional is PBE.

DFT total energy: -51.06 eV for the cell shown
........
Reply >
DFT total energy: -101.04 eV for the cell shown

Unit cell a=5.7245 b=7.3799 c=7.6699 alpha=90.00 beta=90.00 gamma=90.00
Closest atoms and distances in Å follow each position.
Sites, in units of the cell vectors:
Ru (0.0162, 0.1840, 0.3748)  4 Se 2.39-2.49
Ru (0.1810, 0.5168, 0.8260)  4 Se 2.38-2.49
Ru (0.3190, 0.4832, 0.3260)  4 Se 2.38-2.49
Ru (0.4838, 0.8160, 0.8748)  4 Se 2.39-2.49
Ru (0.5162, 0.3160, 0.6252)  4 Se 2.39-2.49
Ru (0.6810, 0.9832, 0.1740)  4 Se 2.38-2.49
Ru (0.8190, 0.0168, 0.6740)  4 Se 2.38-2.49
Ru (0.9838, 0.6840, 0.1252)  4 Se 2.39-2.49
Se (0.0594, 0.8306, 0.8535)  4 Ru 2.38-2.44
Se (0.0653, 0.3625, 0.1020)  4 Ru 2.42-2.49
Se (0.4347, 0.6375, 0.6020)  4 Ru 2.42-2.49
Se (0.4406, 0.1694, 0.3535)  4 Ru 2.38-2.44
Se (0.5594, 0.6694, 0.1465)  4 Ru 2.38-2.44
Se (0.5653, 0.1375, 0.8980)  4 Ru 2.42-2.49
Se (0.9347, 0.8625, 0.3980)  4 Ru 2.42-2.49
Se (0.9406, 0.3306, 0.6465)  4 Ru 2.38-2.44

This record from Alexandria via LeMat-Bulk describes a geometry-optimized CaTb2Nd9 structure. The functional is PBE.

DFT total energy: -53.79 eV for the cell shown
Energy relative to the elements: 0.032 eV/atom

Unit cell a=5.1930 b=5.1930 c=15.5904 alpha=90.00 beta=90.00 gamma=90.00
Closest atoms and distances in Å follow each position.
Sites, in units of the cell vectors:
Ca (0.0000, 0.0000, 0.0000)  12 Nd 3.67-3.74
Tb (0.0000, 0.0000, 0.3341)  12 Nd 3.62-3.67
Tb (0.0000, 0.0000, 0.6659)  12 Nd 3.62-3.67
Nd (0.0000, 0.5000, 0.1724)  2 Tb 3.62, 8 Nd 3.62-3.74, 2 Ca 3.74
Nd (0.0000, 0.5000, 0.5000)  8 Nd 3.66-3.67, 4 Tb 3.67
Nd (0.0000, 0.5000, 0.8276)  2 Tb 3.62, 8 Nd 3.62-3.74, 2 Ca 3.74
Nd (0.5000, 0.0000, 0.1724)  2 Tb 3.62, 8 Nd 3.62-3.74, 2 Ca 3.74
Nd (0.5000, 0.0000, 0.5000)  8 Nd 3.66-3.67, 4 Tb 3.67
Nd (0.5000, 0.0000, 0.8276)  2 Tb 3.62, 8 Nd 3.62-3.74, 2 Ca 3.74
Nd (0.5000, 0.5000, 0.0000)  4 Ca 3.67, 8 Nd 3.74
Nd (0.5000, 0.5000, 0.3346)  8 Nd 3.62-3.66, 4 Tb 3.67
Nd (0.5000, 0.5000, 0.6654)  8 Nd 3.62-3.66, 4 Tb 3.67

This record from Alexandria via LeMat-Bulk describes a geometry-optimized PmBiSb structure. The functional is PBE.

Energy relative to the lowest polymorph listed for this composition: 235.1 meV per atom
DFT total energy: -13.95 eV for the cell shown

Unit cell a=5.5566 b=5.5566 c=3.3464 alpha=90.00 beta=90.00 gamma=120.00
Closest atoms and distances in Å follow each position.
Sites, in units of the cell vectors:
Pm (0.0000, 0.0000, 0.0000)  2 Pm 3.35, 6 Sb 3.61-3.62, 6 Bi 3.62
Bi (0.3333, 0.6667, 0.5007)  3 Sb 3.21, 2 Bi 3.35
Sb (0.6667, 0.3333, 0.5036)  3 Bi 3.21, 2 Sb 3.35

This record from Alexandria via LeMat-Bulk describes a geometry-optimized Y7Er2Sc2 structure. The functional is PBE.

Energy relative to the lowest polymorph listed for this composition: 0.0 meV per atom
DFT total energy: -65.62 eV for the cell shown
Energy relative to the elements: 0.129 eV/atom

Unit cell a=9.7819 b=9.7819 c=11.6711 alpha=119.87 beta=119.87 gamma=20.99
Closest atoms and distances in Å follow each position.
Sites, in units of the cell vectors:
Y (0.0000, 0.0000, 0.0000)  4 Sc 3.54, 6 Y 3.56-3.93, 4 Er 3.69
Y (0.1628, 0.1628, 0.9030)  3 Sc 3.27-3.32, 2 Er 3.34, 6 Y 3.44-3.58
Y (0.1713, 0.1713, 0.3753)  2 Sc 3.25, 2 Er 3.33, 5 Y 3.45-3.56
Y (0.3547, 0.3547, 0.3762)  2 Sc 3.47, 2 Er 3.52-3.58, 7 Y 3.52-3.65
Y (0.6453, 0.6453, 0.6238)  2 Sc 3.47, 2 Er 3.52-3.58, 7 Y 3.52-3.65
Y (0.8287, 0.8287, 0.6247)  2 Sc 3.25, 2 Er 3.33, 5 Y 3.45-3.56
Y (0.8372, 0.8372, 0.0970)  3 Sc 3.27-3.32, 2 Er 3.34, 6 Y 3.44-3.58
Er (0.4951, 0.4951, 0.7191)  8 Y 3.33-3.69, 2 Er 3.56
Er (0.5049, 0.5049, 0.2809)  8 Y 3.33-3.69, 2 Er 3.56
Sc (0.3155, 0.3155, 0.8460)  9 Y 3.25-3.54, 2 Sc 3.56
Sc (0.6845, 0.6845, 0.1540)  9 Y 3.25-3.54, 2 Sc 3.56

This record from Alexandria via LeMat-Bulk describes a geometry-optimized Mn4AgW structure. The functional is PBE.

DFT total energy: -51.06 eV for the cell shown